Eric Berube v. New England Truck Tire Centers, Inc. – In a case involving aggravation of a preexisting condition, the Appellate Division addresses how the required initial finding of a work injury under sec. 201(4), before addressing work aggravation, can be analyzed under the “combined effects” prism set forth in Bryant v. Masters Machine Co., 444 A.2d 329 (1982), and how an award of incapacity benefits can be sustained in the absence of a medical opinion authored by a qualified medical expert. In Berube v. New England Truck Tire Centers, Inc., WCB No. 23-19, Berube claimed a 2/9/21 injury from lifting heavy tires, resulting in aggravation of a preexisting hemorrhoid condition. He underwent unsuccessful surgery and was unable to return to his job. The only causation opinion was authored by a Nurse Practitioner. There were no medical opinions addressing the ability to work. But, Berube testified to the nature of his symptoms and the physical limitations caused by his condition.

The ALJ granted Berube’s petitions for award and for payment of medical expenses, awarding a closed end period of total incapacity benefits followed by ongoing partial based on an imputed earning capacity of $560 per week. Motions for Further Findings of Fact were denied.

On appeal the employer argued that application of sec. 201(4) in the first instance required the ALJ find that a work related injury occurred, before analyzing whether that injury significantly aggravated a preexisting condition. It argued that the ALJ made no such finding. The Appellate Division held that while the ALJ failed to make an express finding that a work injury occurred, it was apparent from the ALJ’s analysis that the Judge applied the “combined effects” principles of Bryant to establish both medical and legal causation. This satisfies the requirement of finding a work injury occurred. Specifically, medical causation was found based on Berube’s testimony and the reports of the Nurse Practitioner that the heavy lifting caused an increase in hemorrhoid symptoms and the disability that followed. In a combined effects case legal causation can be established where the employee brings some element of personal risk due to the preexisting condition but the employment contributes a substantial element of risk that offsets the personal risk. There was competent evidence for both these conclusions.

Rejecting the employer’s argument that a nurse practitioner’s opinion is not qualified to support a medical causation opinion, the panel offered that the ALJ was free to choose among medical opinions and that this objection goes to the weight and not the admissibility of the medical opinion.

These materials data were left in the piece by mistake:
- - -
1.
The following is a DFT calculation (PBE+U) of an optimized crystal structure of Ba2AlFe3O8.

Cell: 3.867 3.867 12.063 Å, 90.00 90.00 90.00°
Element x y z (fractional)
O (0.500, 0.000, 0.602)
O (0.500, 0.000, 0.398)
O (0.000, 0.500, 0.602)
O (0.000, 0.000, 0.194)
O (0.000, 0.000, 0.806)
O (0.500, 0.000, 0.000)
O (0.000, 0.500, 0.398)
O (0.000, 0.500, 0.000)
Ba (0.500, 0.500, 0.166)
Ba (0.500, 0.500, 0.834)
Al (0.500, 0.500, 0.500)
Fe (0.000, 0.000, 0.000)
Fe (0.000, 0.000, 0.649)
Fe (0.000, 0.000, 0.351)

## Properties
* electronic total energy: -6.46 eV per atom
* corrected total energy (MP2020 scheme): -7.33 eV per atom
* energy of formation from the pure elements: -2147.9 meV per atom


2.
The following is a DFT calculation (PBE+U) of an optimized crystal structure of MgCr2Bi2O8.

Cell: 6.476 6.123 6.123 Å, 103.37 107.47 115.25°
Element x y z (fractional)
O (0.323, 0.307, 0.128)
O (0.193, 0.627, 0.909)
O (0.677, 0.805, 0.984)
O (0.345, 0.756, 0.496)
O (0.806, 0.398, 0.060)
O (0.193, 0.253, 0.591)
O (0.807, 0.716, 0.434)
O (0.655, 0.151, 0.412)
Bi (0.937, 0.197, 0.802)
Bi (0.063, 0.865, 0.260)
Cr (0.632, 0.345, 0.242)
Cr (0.368, 0.610, 0.713)
Mg (0.500, 0.740, 0.240)

## Properties
* electronic total energy: -6.46 eV per atom
* corrected total energy (MP2020 scheme): -7.19 eV per atom
* energy of formation from the pure elements: -1939.9 meV per atom


3.
The following is a DFT calculation (PBE+U) of an optimized crystal structure of Eu2DyWO6.

Cell: 5.930 5.930 5.930 Å, 60.00 60.00 60.00°
Element x y z (fractional)
O (0.737, 0.263, 0.737)
O (0.263, 0.737, 0.263)
O (0.737, 0.737, 0.263)
O (0.263, 0.263, 0.737)
O (0.263, 0.737, 0.737)
O (0.737, 0.263, 0.263)
Dy (0.000, 0.000, 0.000)
Eu (0.750, 0.750, 0.750)
Eu (0.250, 0.250, 0.250)
W (0.500, 0.500, 0.500)

## Properties
* electronic total energy: -8.90 eV per atom
* corrected total energy (MP2020 scheme): -9.76 eV per atom
* energy of formation from the pure elements: -2981.7 meV per atom

----------

Record 1
Entry from Materials Project: crystalline Mg2CoWO6 at its relaxed geometry (PBE+U).

Results
Energy of formation, kJ/mol of formula units: -2241
Symmetry: P1

a b c (Å): 5.205 7.629 5.571
angles (deg): 95.38 89.66 89.95
Atoms (fractional coordinates):
O1 0.326 0.044 0.861
O2 0.370 0.726 0.543
O3 0.713 0.901 0.200
O4 0.649 0.251 0.549
O5 0.827 0.543 0.360
O6 0.213 0.402 0.701
O7 0.869 0.225 0.043
O8 0.150 0.751 0.050
O9 0.658 0.544 0.840
O10 0.327 0.407 0.225
O11 0.825 0.906 0.726
O12 0.156 0.044 0.342
Mg1 0.007 0.787 0.422
Mg2 0.508 0.286 0.920
Mg3 0.007 0.289 0.418
Mg4 0.507 0.788 0.918
W1 0.007 0.990 0.013
W2 0.506 0.491 0.514
Co1 0.506 0.002 0.491
Co2 0.005 0.500 0.000


Record 2
Entry from Materials Project: crystalline Mg2CoWO6 at its relaxed geometry (PBE+U).

Results
Energy of formation, kJ/mol of formula units: -2270
Symmetry: P2_1/c

a b c (Å): 5.181 5.328 7.787
angles (deg): 89.99 90.27 90.03
Atoms (fractional coordinates):
O1 0.333 0.700 0.592
O2 0.683 0.322 0.049
- - -
The piece goes on:

The employer also argued the ALJ erred by awarding incapacity benefits in the absence of a qualified medical opinion addressing work ability. Citing the 1923 Law Court decision in Michaud’s Case, 122 Me. 276, which held that an award of incapacity benefits can be supported even in the absence of medical evidence, Berube’s testimony along with the medical records showing unsuccessful surgery and post-surgical complications and the need for ongoing treatment provided competent evidence to support the ALJ’s conclusion.

To view this decision, click here.

If you have any questions about this case or any other workers’ compensation matter, please let us know.


Daniel F. Gilligan